Contents
'''
1.
Compound: YZr2Cu
Source: Alexandria via LeMat-Bulk
Functional: meta-GGA SCAN
Structure: PBEsol geometry

Summary:
Distance to the lowest polymorph of the same formula, eV/f.u.: 1.08
Crystal system: trigonal

a = 9.722 Å, b = 9.722 Å, c = 9.722 Å
α = 19.12°, β = 19.12°, γ = 19.12°
Atoms (fractional coordinates):
Y 0.000 0.000 0.000
Zr 0.238 0.238 0.238
Zr 0.762 0.762 0.762
Cu 0.500 0.500 0.500

=====

2.
Compound: YZr2Cu
Source: Alexandria via LeMat-Bulk
Functional: meta-GGA SCAN
Structure: PBEsol geometry

Summary:
Distance to the lowest polymorph of the same formula, eV/f.u.: 1.60
Crystal system: orthorhombic

a = 5.408 Å, b = 5.408 Å, c = 3.103 Å
α = 90.00°, β = 90.00°, γ = 112.65°
Atoms (fractional coordinates):
Y 0.000 0.000 0.000
Zr 0.000 0.500 0.500
Zr 0.500 0.000 0.500
Cu 0.500 0.500 0.000

=====

3.
Compound: YZr2Cu
Source: Alexandria via LeMat-Bulk
Functional: meta-GGA SCAN
Structure: PBEsol geometry

Summary:
Distance to the lowest polymorph of the same formula, eV/f.u.: 1.01
Crystal system: tetragonal

a = 5.335 Å, b = 5.335 Å, c = 5.335 Å
α = 131.87°, β = 131.87°, γ = 70.43°
Atoms (fractional coordinates):
Y 0.000 0.000 0.000
Zr 0.500 0.500 0.000
Zr 0.750 0.250 0.500
Cu 0.250 0.750 0.500

=====

4.
Compound: YZr2Cu
Source: Alexandria via LeMat-Bulk
Functional: meta-GGA SCAN
Structure: PBEsol geometry

Summary:
Distance to the lowest polymorph of the same formula, eV/f.u.: 0.00
Crystal system: orthorhombic

a = 6.092 Å, b = 6.092 Å, c = 6.092 Å
α = 148.90°, β = 132.53°, γ = 57.84°
Atoms (fractional coordinates):
Y 0.000 0.000 0.000
Zr 0.288 0.788 0.500
Zr 0.712 0.212 0.500
Cu 0.500 0.500 0.000

=====

5.
Compound: YZr2Cu
Source: Alexandria via LeMat-Bulk
Functional: meta-GGA SCAN
Structure: PBEsol geometry

Summary:
Distance to the lowest polymorph of the same formula, eV/f.u.: 0.91
Crystal system: monoclinic

a = 3.226 Å, b = 5.098 Å, c = 5.207 Å
α = 90.00°, β = 98.53°, γ = 90.00°
Atoms (fractional coordinates):
Y 0.000 0.000 0.000
Zr 0.321 0.500 0.731
Zr 0.679 0.500 0.269
Cu 0.500 0.000 0.500

=====

6.
Compound: YZrCu
Source: Alexandria via LeMat-Bulk
Functional: meta-GGA SCAN
Structure: PBEsol geometry

Summary:
Crystal system: cubic

a = 4.595 Å, b = 4.595 Å, c = 4.595 Å
α = 60.00°, β = 60.00°, γ = 60.00°
Atoms (fractional coordinates):
Y 0.000 0.000 0.000
Zr 0.500 0.500 0.500
Cu 0.750 0.750 0.750

=====

Calculated total energy (eV/atom), listed in the same order as above: -25.92 -25.79 -25.94 -26.19 -25.96 -24.38
Calculated calculated volume (Å³/cell), listed in the same order as above: 86.2 83.8 82.5 85.4 84.7 68.6


(w)
Computed, not measured: a relaxed La2ZnHgPt crystal at the PBE-GGA level of DFT.

abc: 5.624 4.725 5.624
angles: 90.00 90.00 90.00
Fractional positions:
Hg 0.000 0.500 0.000
La 0.000 0.000 0.500
La 0.500 0.000 0.000
Zn 0.000 0.000 0.000
Pt 0.500 0.500 0.500

Calculated values
size of the total moment = 0.00 μB per atom
SG = P4/mmm, No. 123
crystal system = tetragonal

(x)
Computed, not measured: a relaxed La2ZnHgPt crystal at the PBE-GGA level of DFT.

abc: 4.652 7.519 7.802
angles: 109.05 90.00 90.00
Fractional positions:
Hg 0.250 0.672 0.346
Zn 0.250 0.551 0.672
Pt 0.250 0.882 0.916
La 0.250 0.135 0.345
La 0.250 0.291 0.949
La 0.750 0.709 0.051
La 0.750 0.865 0.655
Zn 0.750 0.449 0.328
Pt 0.750 0.118 0.084
Hg 0.750 0.328 0.654

Calculated values
size of the total moment = 0.00 μB per atom
SG = P2_1/m, No. 11
crystal system = monoclinic

Sorted by energy, starting with the most stable: (x), (w).

(w)
Computed, not measured: a relaxed LaPuHg4 crystal at the PBE-GGA level of DFT.

abc: 5.110 6.140 6.140
angles: 92.14 65.34 65.34
Last column: magnetic moment on the atom in μB.
Fractional positions:
Hg 0.245 0.421 0.088  0.00
Hg 0.754 0.912 0.579  0.00
Pu 0.500 0.500 0.500  5.57
Hg 0.754 0.579 0.912  0.00
La 0.000 0.000 0.000  0.16
Hg 0.245 0.088 0.421  0.00

Calculated values
size of the total moment = 1.02 μB per atom
SG = C2/m, No. 12
crystal system = monoclinic

(x)
'''

Work order
Transcribe every line further up that contains the word "as".

Worked solution
Calculated total energy (eV/atom), listed in the same order as above: -25.92 -25.79 -25.94 -26.19 -25.96 -24.38
Calculated calculated volume (Å³/cell), listed in the same order as above: 86.2 83.8 82.5 85.4 84.7 68.6